(Listing)
┌──
# 1
{
  "formula": "C6H24N12O6Tl",
  "method": "the ωB97M-V functional and the def2-TZVPD basis",
  "orbital_gap_ev": [4.129, 3.904],
  "total_charge": 4,
  "e_homo_ha": [-0.730, -0.738],
  "total_energy_ev": -41427.7412,
  "s_squared": 1.7922,
  "multiplicity": 2,
  "de_lowest_ev": 0.0000,
  "species": ["Tl", "C", "O", "N", "N", "H", "H", "H", "H", "C", "O", "N", "N", "H", "H", "H", "H", "C", "O", "N", "N", "H", "H", "H", "H", "C", "O", "N", "N", "H", "H", "H", "H", "C", "O", "N", "N", "H", "H", "H", "H", "C", "O", "N", "N", "H", "H", "H", "H"],
  "positions_angstrom": [[-0.712, 1.294, 0.600], [-2.124, -0.473, -2.918], [-1.745, -0.048, -1.872], [-3.180, -1.112, -2.988], [-1.662, -0.308, -4.065], [-3.727, -1.433, -3.774], [-3.456, -1.493, -2.095], [-0.693, -0.026, -4.119], [-2.209, -0.866, -4.705], [3.194, 0.972, 1.445], [2.082, 1.559, 1.373], [4.241, 1.233, 0.720], [3.394, 0.047, 2.310], [5.054, 0.633, 0.721], [4.145, 2.022, 0.097], [4.324, -0.347, 2.328], [2.609, -0.260, 2.865], [1.898, -0.285, -2.068], [1.263, 0.302, -1.240], [2.840, 0.399, -2.713], [1.759, -1.530, -2.459], [3.095, 1.326, -2.406], [3.531, 0.040, -3.356], [1.135, -2.188, -2.016], [2.552, -1.842, -3.001], [-0.393, -2.874, 0.187], [-0.553, -1.635, 0.397], [0.757, -3.507, 0.313], [-1.317, -3.707, -0.229], [0.839, -4.514, 0.313], [1.512, -2.972, 0.716], [-2.138, -3.237, -0.584], [-1.127, -4.699, -0.241], [-3.314, -1.229, 2.251], [-2.970, -0.316, 1.518], [-4.223, -2.109, 1.774], [-3.019, -1.496, 3.531], [-4.524, -2.815, 2.431], [-4.432, -1.905, 0.807], [-2.409, -0.872, 4.041], [-3.590, -2.178, 4.009], [0.397, 4.814, 1.577], [0.038, 3.737, 1.882], [-0.207, 5.537, 0.599], [1.389, 5.406, 2.105], [-1.003, 5.123, 0.136], [-0.086, 6.539, 0.628], [1.133, 6.376, 2.219], [1.632, 4.918, 2.956]]
}

---

# 2
{
  "formula": "C6H24N2O4",
  "method": "the ωB97M-V functional and the def2-TZVPD basis",
  "orbital_gap_ev": 8.844,
  "total_charge": 0,
  "e_homo_ha": -0.310,
  "total_energy_ev": -17780.6055,
  "smiles": "CCC[C@H](N)CNC.O.O.O.O",
  "de_lowest_ev": 1.2571,
  "species": ["N", "C", "C", "C", "C", "C", "N", "C", "H", "H", "H", "H", "H", "H", "H", "H", "H", "H", "H", "H", "H", "H", "H", "H", "H", "H", "O", "H", "H", "O", "H", "H", "O", "H", "H", "O"],
  "positions_angstrom": [[-1.236, 0.597, 1.062], [-1.802, -0.524, 0.354], [-2.527, -0.063, -1.021], [-1.802, -0.258, -2.326], [-0.719, 0.836, -2.496], [-0.914, -1.806, 0.174], [0.417, -1.703, 0.876], [0.607, -2.761, 1.829], [-1.121, 0.458, 2.057], [-0.296, 0.828, 0.761], [-2.678, -0.883, 0.911], [-3.446, -0.654, -0.951], [-2.852, 0.971, -0.917], [-2.493, -0.251, -3.183], [-1.306, -1.214, -2.463], [0.091, 0.673, -1.786], [-1.195, 1.789, -2.358], [-0.175, 0.836, -3.452], [-1.498, -2.612, 0.621], [-0.633, -1.916, -0.859], [0.453, -0.803, 1.341], [0.365, -2.541, 2.884], [0.134, -3.715, 1.609], [1.698, -3.002, 1.923], [3.395, 1.574, -1.834], [2.263, 2.026, -0.651], [2.677, 1.376, -1.228], [2.334, 0.642, 1.911], [1.527, 1.873, 1.767], [1.474, 1.040, 2.254], [3.015, 0.296, 0.030], [3.369, -1.036, 0.837], [3.469, -0.065, 0.814], [-0.134, 4.000, 0.024], [-0.570, 2.799, 1.017], [0.110, 3.194, 0.470]]
}

---

# 3
{
  "formula": "C6H24NO6",
  "method": "the ωB97M-V functional and the def2-TZVPD basis",
  "orbital_gap_ev": 10.073,
  "total_charge": 1,
  "e_homo_ha": -0.470,
  "total_energy_ev": -20378.3873,
  "de_lowest_ev": 1.2251,
  "species": ["C", "C", "C", "C", "C", "C", "N", "H", "H", "H", "H", "H", "H", "H", "H", "H", "H", "H", "H", "H", "H", "O", "H", "H", "O", "H", "H", "O", "H", "H", "O", "H", "H", "O", "H", "H", "O"],
└──
(Brief)
Could you retype all of the entries further up word for word?
(Worked solution)
# 1
{
  "formula": "C6H24N12O6Tl",
  "method": "the ωB97M-V functional and the def2-TZVPD basis",
  "orbital_gap_ev": [4.129, 3.904],
  "total_charge": 4,
  "e_homo_ha": [-0.730, -0.738],
  "total_energy_ev": -41427.7412,
  "s_squared": 1.7922,
  "multiplicity": 2,
  "de_lowest_ev": 0.0000,
  "species": ["Tl", "C", "O", "N", "N", "H", "H", "H", "H", "C", "O", "N", "N", "H", "H", "H", "H", "C", "O", "N", "N", "H", "H", "H", "H", "C", "O", "N", "N", "H", "H", "H", "H", "C", "O", "N", "N", "H", "H", "H", "H", "C", "O", "N", "N", "H", "H", "H", "H"],
  "positions_angstrom": [[-0.712, 1.294, 0.600], [-2.124, -0.473, -2.918], [-1.745, -0.048, -1.872], [-3.180, -1.112, -2.988], [-1.662, -0.308, -4.065], [-3.727, -1.433, -3.774], [-3.456, -1.493, -2.095], [-0.693, -0.026, -4.119], [-2.209, -0.866, -4.705], [3.194, 0.972, 1.445], [2.082, 1.559, 1.373], [4.241, 1.233, 0.720], [3.394, 0.047, 2.310], [5.054, 0.633, 0.721], [4.145, 2.022, 0.097], [4.324, -0.347, 2.328], [2.609, -0.260, 2.865], [1.898, -0.285, -2.068], [1.263, 0.302, -1.240], [2.840, 0.399, -2.713], [1.759, -1.530, -2.459], [3.095, 1.326, -2.406], [3.531, 0.040, -3.356], [1.135, -2.188, -2.016], [2.552, -1.842, -3.001], [-0.393, -2.874, 0.187], [-0.553, -1.635, 0.397], [0.757, -3.507, 0.313], [-1.317, -3.707, -0.229], [0.839, -4.514, 0.313], [1.512, -2.972, 0.716], [-2.138, -3.237, -0.584], [-1.127, -4.699, -0.241], [-3.314, -1.229, 2.251], [-2.970, -0.316, 1.518], [-4.223, -2.109, 1.774], [-3.019, -1.496, 3.531], [-4.524, -2.815, 2.431], [-4.432, -1.905, 0.807], [-2.409, -0.872, 4.041], [-3.590, -2.178, 4.009], [0.397, 4.814, 1.577], [0.038, 3.737, 1.882], [-0.207, 5.537, 0.599], [1.389, 5.406, 2.105], [-1.003, 5.123, 0.136], [-0.086, 6.539, 0.628], [1.133, 6.376, 2.219], [1.632, 4.918, 2.956]]
}

---

# 2
{
  "formula": "C6H24N2O4",
  "method": "the ωB97M-V functional and the def2-TZVPD basis",
  "orbital_gap_ev": 8.844,
  "total_charge": 0,
  "e_homo_ha": -0.310,
  "total_energy_ev": -17780.6055,
  "smiles": "CCC[C@H](N)CNC.O.O.O.O",
  "de_lowest_ev": 1.2571,
  "species": ["N", "C", "C", "C", "C", "C", "N", "C", "H", "H", "H", "H", "H", "H", "H", "H", "H", "H", "H", "H", "H", "H", "H", "H", "H", "H", "O", "H", "H", "O", "H", "H", "O", "H", "H", "O"],
  "positions_angstrom": [[-1.236, 0.597, 1.062], [-1.802, -0.524, 0.354], [-2.527, -0.063, -1.021], [-1.802, -0.258, -2.326], [-0.719, 0.836, -2.496], [-0.914, -1.806, 0.174], [0.417, -1.703, 0.876], [0.607, -2.761, 1.829], [-1.121, 0.458, 2.057], [-0.296, 0.828, 0.761], [-2.678, -0.883, 0.911], [-3.446, -0.654, -0.951], [-2.852, 0.971, -0.917], [-2.493, -0.251, -3.183], [-1.306, -1.214, -2.463], [0.091, 0.673, -1.786], [-1.195, 1.789, -2.358], [-0.175, 0.836, -3.452], [-1.498, -2.612, 0.621], [-0.633, -1.916, -0.859], [0.453, -0.803, 1.341], [0.365, -2.541, 2.884], [0.134, -3.715, 1.609], [1.698, -3.002, 1.923], [3.395, 1.574, -1.834], [2.263, 2.026, -0.651], [2.677, 1.376, -1.228], [2.334, 0.642, 1.911], [1.527, 1.873, 1.767], [1.474, 1.040, 2.254], [3.015, 0.296, 0.030], [3.369, -1.036, 0.837], [3.469, -0.065, 0.814], [-0.134, 4.000, 0.024], [-0.570, 2.799, 1.017], [0.110, 3.194, 0.470]]
}

---

# 3
{
  "formula": "C6H24NO6",
  "method": "the ωB97M-V functional and the def2-TZVPD basis",
  "orbital_gap_ev": 10.073,
  "total_charge": 1,
  "e_homo_ha": -0.470,
  "total_energy_ev": -20378.3873,
  "de_lowest_ev": 1.2251,
  "species": ["C", "C", "C", "C", "C", "C", "N", "H", "H", "H", "H", "H", "H", "H", "H", "H", "H", "H", "H", "H", "H", "O", "H", "H", "O", "H", "H", "O", "H", "H", "O", "H", "H", "O", "H", "H", "O"],